Source =
Record 1
# Ca2Ho2Cd15 (PBE-GGA, relaxed)
# crystal system: trigonal
# final energy: -88.529 eV for the cell shown
# spin magnetization: 0.00 μB per cell
# density of states at the Fermi level: 7.420 states/eV/f.u.
data_Ca2Ho2Cd15
_symmetry_space_group_name_H-M 'R -3 m'
_symmetry_Int_Tables_number 166
_symmetry_space_group_name_Hall '-R 3 2"'
_cell_length_a 10.0218
_cell_length_b 10.0218
_cell_length_c 16.5077
_cell_angle_alpha 90.00
_cell_angle_beta 90.00
_cell_angle_gamma 120.00
loop_
_atom_site_label
_atom_site_fract_x
_atom_site_fract_y
_atom_site_fract_z
Ca1 0.0000 0.0000 0.1746
Ho1 0.0000 0.0000 0.4044
Cd1 0.0000 0.2965 0.5000
Cd2 0.0000 0.5000 0.0000
Cd3 0.0089 0.5044 0.6359



Record 2
# Ca2HoCd5 (PBE-GGA, relaxed)
# crystal system: tetragonal
# final energy: -31.030 eV for the cell shown
# spin magnetization: 0.00 μB per cell
# density of states at the Fermi level: 4.867 states/eV/f.u.
data_Ca2HoCd5
_symmetry_space_group_name_H-M 'I 4/m m m'
_symmetry_Int_Tables_number 139
_symmetry_space_group_name_Hall '-I 4 2'
_cell_length_a 5.257
_cell_length_b 5.257
_cell_length_c 14.854
_cell_angle_alpha 90.00
_cell_angle_beta 90.00
_cell_angle_gamma 90.00
loop_
_atom_site_label
_atom_site_fract_x
_atom_site_fract_y
_atom_site_fract_z
Ca1 0.000 0.000 0.243
Ho1 0.000 0.000 0.500
Cd1 0.000 0.000 0.000
Cd2 0.000 0.500 0.117

=====

(1)
# PBE+U Y3MnF, optimized geometry
data_Y3MnF
_chemical_formula_sum 'Y3 Mn1 F1'
_cell_length_a 4.9064
_cell_length_b 4.9064
_cell_length_c 4.9064
_cell_angle_alpha 90.00
_cell_angle_beta 90.00
_cell_angle_gamma 90.00
_space_group_name_H-M_alt 'P m -3 m'
_space_group_IT_number 221
_space_group_name_Hall '-P 4 2 3'
loop_
_atom_site_label
_atom_site_type_symbol
_atom_site_fract_x
_atom_site_fract_y
_atom_site_fract_z
Y1 Y 0.0000 0.0000 0.5000
Mn1 Mn 0.5000 0.5000 0.5000
F1 F 0.0000 0.0000 0.0000
# crystal system: cubic
# energy relative to the lowest polymorph listed for this composition: 0 meV per atom
# total moment: 3.73 μB/f.u.
# VASP energy: -6.51 eV per atom

=====

(2)
# PBE+U YZrMn2F, optimized geometry
data_YZrMn2F
_chemical_formula_sum 'Y1 Zr1 Mn2 F1'
_cell_length_a 5.7560
_cell_length_b 5.7560
_cell_length_c 4.0661
_cell_angle_alpha 90.00
_cell_angle_beta 90.00
_cell_angle_gamma 90.00
_space_group_name_H-M_alt 'P 4/m m m'
_space_group_IT_number 123
_space_group_name_Hall '-P 4 2'
loop_
_atom_site_label
_atom_site_type_symbol
_atom_site_fract_x
_atom_site_fract_y
_atom_site_fract_z
Y1 Y 0.0000 0.0000 0.0000
Zr1 Zr 0.5000 0.5000 0.5000
Mn1 Mn 0.0000 0.5000 0.0000
F1 F 0.0000 0.0000 0.5000
# crystal system: tetragonal
# total moment: 7.22 μB/f.u.
# VASP energy: -6.20 eV per atom

=====

(3)
# PBE+U MnZn3F6, optimized geometry
data_MnZn3F6
_chemical_formula_sum 'Mn1 Zn3 F6'
_cell_length_a 5.0038
_cell_length_b 5.4081
_cell_length_c 6.0267
_cell_angle_alpha 68.71
_cell_angle_beta 87.91
_cell_angle_gamma 81.75
_space_group_name_H-M_alt 'P -1'
_space_group_IT_number 2
_space_group_name_Hall '-P 1'
loop_
_atom_site_label
_atom_site_type_symbol
_atom_site_fract_x
_atom_site_fract_y
_atom_site_fract_z
Mn1 Mn 0.0000 0.0000 0.0000
Zn1 Zn 0.0000 0.0000 0.5000
Zn2 Zn 0.0000 0.5000 0.5000
Zn3 Zn 0.5000 0.5000 0.0000
F1 F 0.1926 0.3513 0.8749
F2 F 0.2860 0.6248 0.2864
F3 F 0.3235 0.8614 0.8141
# crystal system: triclinic
# energy relative to the lowest polymorph listed for this composition: 17 meV per atom
# total moment: 5.00 μB/f.u.
# VASP energy: -4.14 eV per atom

=====

## Sr2In3Pb2 (PBE-GGA)

Data for crystalline Sr2In3Pb2 at its relaxed geometry.

Results
magnetic moment	0.000	μB per formula unit
calculated total energy	-21.400	eV per cell
crystal system	monoclinic
Fermi-level density of states	3.950	states/eV/f.u.
theoretical density	6941	kg/m³
energy relative to the elements	-0.34	eV per atom

Cell and atoms, written as POSCAR:
```
Sr2In3Pb2
1.0
6.083 -2.445 0.000
6.083 2.445 0.000
-2.065 0.000 7.512
Sr In Pb
2 3 2
Direct
0.130 0.130 0.266 Sr
0.870 0.870 0.734 Sr
0.398 0.398 0.074 In
Wanted =
Could you work out how many lines above have the word "Sr2In3Pb2" in them; a number is enough?
Response =
3